Impacts of MOOCs on intellectual property rights and collective bargaining …
Massive Open Online Courses (“MOOCs”) are free, online courses offered by institutions of higher education to individual users across the world, and in the vast majority of cases, without any admissions criteria. MOOCs are popular with individuals because they offer unprecedented, free access to the best institutions in the world that were previously inaccessible to the vast majority of the population–all a user needs is a computer and Internet access. College and university administrators are excited about MOOCs because of the marketing reach and additional revenues available through this medium. Professors are excited to have their lectures seen by as many people as possible. Unions must be on board, right? Not so fast. Many faculty unions take the position that MOOCs undermine faculty intellectual property rights and existing collective bargaining agreements between the union and the institution.
Faculty unions are objecting to the institution’s use of MOOCs without additional collective bargaining because of faculty ownership rights to their lectures. At most institutions, individual faculty members, and not the institution, own the intellectual property in their live lectures and course materials. Licensing agreements are entered into by the institution and MOOC platform provider (e.g. Coursera, Udacity, edX). However, prior to placing the course online, faculty members are expected to sign away their intellectual property rights to the institution and irrevocably grant the institution the right and permission to use their course content, name and image. A union’s objection is one rooted in “black letter” labor law, namely, a represented employee is typically barred from signing any individual contract with their employer. This is particularly true if it touches on a term and condition of employment, like allowing an institution to automate a task, in this case, teaching, that it would otherwise hire a member of the bargaining unit to perform. Institutions with represented faculty would be well-served to negotiate language into collective bargaining agreements, allowing individual faculty members to waive their intellectual property rights to coursework in advance of contracts with a MOOC provider. Otherwise, the institution may be faced with a demand from the union to cease implementation of the contract until such time as the institution and union reach an agreement over intellectual property ownership.
Unrelated to this entry: quantum chemistry results:
DFT (ωB97M-V/def2-TZVPD) results for a structure of composition C4H5NO.

Element x y z (Å)
O: -0.654 1.426 -0.733
C: -0.984 0.557 0.149
C: -0.284 -1.304 -0.585
C: -0.007 -0.443 0.466
C: 1.621 0.773 0.357
N: 2.623 1.068 0.875
H: 0.391 1.393 -0.666
H: -1.947 0.654 0.643
H: -0.305 -2.379 -0.428
H: -0.423 -0.947 -1.598
H: 0.041 -0.861 1.468

The calculation puts the frontier orbital gap at 8.8847 eV. The max |F| is 1.184 eV/Å. Its LUMO energy is -0.00850 Ha. For the energy above the lowest of the compared OMol25 structures with the same formula, charge and spin, the calculation gives 106.26 kcal per mole. As for the molecular weight: 83.09 g mol⁻¹. Its HOMO energy is -0.3350 hartree.

DFT (ωB97M-V/def2-TZVPD) results for a cluster of 2 separate species, CH3FOS in total.

Element x y z (Å)
C: 0.983 0.438 -0.148
O: -1.865 -1.087 -0.301
F: -2.858 -0.799 0.532
S: 0.180 0.015 1.383
H: 1.029 -0.420 -0.834
H: 2.073 0.583 -0.033
H: 0.458 1.270 -0.599

The calculation puts the frontier orbital gap (spin up / spin down) at 10.4657 / 6.8562 eV. The max |F| is 1.827 eV/Å. The expectation value of S² is 2.01. Its LUMO energy (spin up / spin down) is 0.03610 / -0.08015 Ha. As for the multiplicity: 3. For the energy above the lowest of the compared OMol25 structures with the same formula, charge and spin, the calculation gives 71.66 kcal per mole. As for the molecular weight: 82.10 g mol⁻¹. Its HOMO energy (spin up / spin down) is -0.3485 / -0.3321 hartree.

DFT (ωB97M-V/def2-TZVPD) results for the ion C5H6N with charge +1.

Element x y z (Å)
C: 1.288 0.295 -0.024
C: 2.309 -0.511 0.017
C: -1.639 -0.230 0.031
C: -0.926 1.207 -0.011
C: -1.128 -1.366 -0.045
N: 0.432 1.138 -0.027
H: 2.766 -0.913 -0.871
H: 2.738 -0.800 0.964
H: -2.692 -0.001 0.134
H: -0.574 -2.264 -0.127
H: -1.307 1.693 -0.917
H: -1.268 1.753 0.874

The calculation puts the frontier orbital gap (spin up / spin down) at 6.6783 / 6.9200 eV. The total charge is +1. The max |F| is 1.582 eV/Å. Its LUMO energy (spin up / spin down) is -0.26407 / -0.25860 Ha. For the energy above the lowest of the compared OMol25 structures with the same formula, charge and spin, the calculation gives 120.83 kcal per mole. As for the molecular weight: 80.11 g mol⁻¹. Its HOMO energy (spin up / spin down) is -0.5095 / -0.5129 hartree.
If an institution cannot negotiate language into the collective bargaining agreement ahead of time, the institution can expect negotiations to involve traditional mandatory subjects of bargaining like wages, hours and other terms and conditions of employment.
**Misplaced records of molecules**
# 1
Below is C33H47N4O5S4SiTl as an isolated structure, with properties calculated with ωB97M-V/def2-TZVPD.

XYZ file:
```
95
Properties=species:S:1:pos:R:3
Tl -2.4636 -0.0144 -0.8560
N -6.9623 -1.2592 -0.6502
C -5.6014 -1.4799 -0.8131
S -4.8924 -1.0234 -2.3015
N -5.0438 -2.0706 0.2250
N -3.7014 -2.1795 0.1339
C -3.1507 -3.0957 0.8288
C -1.7119 -3.3500 0.7208
C -1.1113 -4.3785 1.4468
C 0.2289 -4.6486 1.2322
C 0.9329 -3.8804 0.3188
C 0.2564 -2.8571 -0.3332
N -1.0276 -2.6101 -0.1495
H -7.2885 -0.5227 -1.2557
H -7.2026 -1.1269 0.3229
H -3.7598 -3.7544 1.4496
H -1.6956 -4.9528 2.1555
H 0.7214 -5.4452 1.7787
H 1.9842 -4.0480 0.1262
H 0.7596 -2.2075 -1.0411
C -3.2902 4.8139 -0.6346
C -3.2951 3.3025 -0.5342
S -2.2755 2.4993 -1.7167
C -3.9979 2.7046 0.4459
C -4.7801 3.5364 1.4430
S -4.1606 0.9766 0.7580
H -2.9381 5.1220 -1.6181
H -2.6183 5.2599 0.1098
H -4.2846 5.2419 -0.4780
H -4.2060 4.4019 1.7875
H -5.0375 2.9380 2.3170
H -5.7167 3.9135 1.0144
C 4.8150 -2.4893 -5.7234
C 4.9414 -2.0531 -7.1594
O 5.9134 -2.2913 -7.8352
S 3.6232 -1.1108 -7.9033
C 2.4158 -0.9626 -6.6145
C 1.3667 -1.8737 -6.5279
C 0.4478 -1.7833 -5.4979
C 0.5520 -0.7778 -4.5277
C 1.5953 0.1517 -4.6446
C 2.5115 0.0617 -5.6760
C -0.3683 -0.6970 -3.4432
C -1.1519 -0.6220 -2.5183
H 5.5252 -3.2957 -5.5545
H 3.8043 -2.7947 -5.4641
H 5.0718 -1.6454 -5.0798
H 1.2822 -2.6614 -7.2667
H -0.3649 -2.4933 -5.4221
H 1.6672 0.9416 -3.9099
H 3.3163 0.7828 -5.7536
C 0.3685 3.5045 3.9772
C -0.3363 2.6391 2.9348
C -0.7813 3.4906 1.7541
C -1.5335 1.9318 3.5641
O 0.6461 1.6998 2.4971
Si 0.3815 0.2623 1.6896
O -0.9139 0.2627 0.8172
O 0.3513 -0.9405 2.8425
C 1.2568 -1.2942 3.8712
C 1.6836 -0.0791 4.6957
C 0.4933 -2.2723 4.7624
C 2.4982 -1.9785 3.3000
O 1.8440 -0.0107 0.9351
C 2.5133 0.8160 -0.0080
C 1.5390 1.6135 -0.8639
C 3.4445 1.7532 0.7607
C 3.3272 -0.1275 -0.8923
H -0.3057 4.2779 4.3542
H 1.2424 3.9862 3.5326
H 0.7026 2.8895 4.8159
H -1.5455 4.2097 2.0642
H -1.2045 2.8610 0.9710
H 0.0713 4.0428 1.3483
H -2.2192 2.6682 3.9933
H -1.1985 1.2611 4.3602
H -2.0777 1.3536 2.8157
H 0.8089 0.4200 5.1162
H 2.2134 0.6450 4.0777
H 2.3354 -0.3987 5.5144
H -0.4065 -1.7900 5.1484
H 1.1096 -2.6046 5.6027
H 0.1883 -3.1407 4.1763
H 3.0243 -1.3035 2.6263
H 2.2065 -2.8622 2.7351
H 3.1683 -2.2813 4.1107
H 0.9462 2.3022 -0.2624
H 0.8404 0.9554 -1.3796
H 2.0892 2.2002 -1.6064
H 2.8563 2.3648 1.4457
H 3.9941 2.4051 0.0758
H 4.1628 1.1702 1.3437
H 2.6609 -0.7253 -1.5172
H 3.9165 -0.8018 -0.2665
H 4.0039 0.4330 -1.5439
```

The total charge is -2. Its energy relative to the best compared isomer or geometry (same formula, charge and spin) is 0.9 kcal/mol. Its lowest unoccupied orbital energy is 0.1364 Eh. The frontier orbital gap is 4.7892 eV.

# 2
Below is C15H11AlF5N3OTe as an isolated structure, with properties calculated with ωB97M-V/def2-TZVPD.

XYZ file:
```
37
Properties=species:S:1:pos:R:3
Al 3.7058 7.5652 12.3777
C 2.9003 11.7111 13.2107
C 4.1465 12.2637 13.4465
C 5.2709 11.4791 13.2585
C 5.1556 10.1312 12.8861
An institution can expect the union to make a series of information requests related to the contract between the institution and the online provider. The duty to furnish information is a key component of the bargaining process under the National Labor Relations Act. An institution’s disclosure of information provides the union with the information it needs to effectively carry out its statutory obligation to represent its membership. It is important to note that information clearly related to the employer/employee relationship will be presumptively relevant and subject to disclosure. In the case of MOOCs, a union has the right to request and review contracts between the institution and the platform provider. A violation of this employer obligation under will likely result in an unfair labor practice charge at the National Labor Relations Board.
Once negotiations commence, many of the same items traditionally negotiated in a collective bargaining agreement will come to the surface. The union will certainly attempt to negotiate compensation for its members in exchange for their time and waiving of their intellectual property rights.
Additionally, the union will attempt to define whether some, or all, of its bargaining unit members will be eligible to participate in MOOCs.
## Unrelated to this piece: molecular data
+++
[1]
This record from the Open Molecules 2025 dataset describes C7H22KN2O4 as an isolated structure in a non-equilibrium geometry. The level of theory is wB97M-V/def2-TZVPD.

The geometry in XYZ format:
```
36
Properties=species:S:1:pos:R:3:forces:R:3
K 0.047 -0.001 0.549 -1.524 -10.136 4.167
C 0.281 -1.528 -1.958 -0.075 -0.282 -0.790
C -0.799 -2.262 -1.170 1.340 -1.823 -3.320
O -0.680 -1.774 0.094 -1.848 -7.664 -0.090
H 0.035 -0.475 -1.820 0.138 -0.050 -1.002
H 0.398 -1.846 -2.994 -0.651 0.326 -0.183
H 1.292 -1.648 -1.570 -0.566 -0.314 0.109
H -0.663 -3.340 -1.253 0.296 -0.206 0.355
H -1.761 -2.161 -1.673 -0.447 0.691 0.457
H -0.467 -2.509 0.673 -0.254 -0.274 0.187
C -2.395 -1.168 1.831 0.212 0.755 -0.461
C -2.555 -0.239 0.581 -1.804 -1.527 0.815
O -1.880 0.966 0.779 -2.354 2.169 0.328
H -2.806 -0.704 2.728 -0.415 -0.052 -0.168
H -1.337 -1.306 2.056 -0.272 0.000 0.269
H -2.817 -2.156 1.649 -0.182 0.117 0.091
H -3.624 -0.099 0.426 -0.064 0.279 -0.006
H -2.170 -0.701 -0.328 -0.709 0.336 0.353
H -2.533 1.666 0.857 0.018 0.141 0.086
C 2.477 -1.452 0.390 0.668 -0.013 0.491
C 2.853 -0.253 -0.506 0.267 -1.967 1.134
O 1.656 0.465 -0.658 4.973 0.998 -4.136
H 2.547 -1.102 1.420 0.196 -0.292 0.221
H 3.141 -2.303 0.236 0.115 0.132 0.188
H 1.457 -1.822 0.280 0.631 0.035 -0.324
H 3.307 -0.591 -1.438 -0.264 0.056 -0.299
H 3.614 0.312 0.031 0.012 0.290 -0.093
H 1.909 1.077 -1.353 -0.476 0.655 -0.109
C 0.268 2.832 0.423 -0.475 1.164 -1.418
O 0.476 1.670 0.636 3.526 14.017 2.458
N 0.533 3.868 1.134 1.752 2.727 4.337
N -0.310 3.262 -0.683 -1.334 -0.613 -2.850
H 0.952 3.728 2.042 -0.059 0.402 -0.125
H 0.297 4.796 0.815 0.214 -0.247 0.581
H -0.435 2.541 -1.379 -0.290 0.792 -0.406
H -0.306 4.258 -0.848 -0.294 -0.622 -0.848
```
Forces are in eV/Å.

Energy relative to the best compared isomer or geometry (same formula, charge and spin) (eV): 10.616
Largest force on an atom (eV/Å): 14.66
HOMO energy (eV): -13.07
Net charge: +1
LUMO level (Ha): -0.094

---

[2]
This record from the Open Molecules 2025 dataset describes a 7-piece molecular cluster, C7H22O6 overall. The level of theory is wB97M-V/def2-TZVPD.

The geometry in XYZ format:
```
35
Properties=species:S:1:pos:R:3:forces:R:3
C -2.681 0.665 -1.292 -0.289 -0.061 -0.239
C -2.013 1.640 -0.692 0.256 -0.118 0.410
C -1.103 1.432 0.461 -0.405 0.025 -0.708
C -0.139 0.512 0.442 0.413 0.094 0.617
C 0.815 0.259 1.556 -0.007 0.027 -0.117
C 1.432 1.253 2.189 0.137 0.100 0.123
C 1.074 -1.179 1.905 0.105 -0.250 0.162
H -3.357 0.871 -2.114 0.023 0.117 -0.018
H -2.624 -0.373 -0.983 0.118 0.019 0.154
H -2.139 2.672 -0.997 -0.148 0.072 -0.097
H -1.297 2.085 1.306 0.284 -0.126 0.175
H 0.025 -0.090 -0.443 -0.232 -0.077 -0.076
H 1.267 2.284 1.916 -0.056 0.120 -0.080
H 2.135 1.077 2.998 -0.079 -0.098 -0.078
H 0.196 -1.657 2.347 -0.088 0.040 -0.008
H 1.321 -1.776 1.027 -0.024 0.023 -0.134
H 1.889 -1.286 2.625 -0.043 0.109 -0.041
O 2.862 -0.392 -1.098 0.003 -0.081 -0.269
H 2.881 -0.262 -0.144 -0.089 -0.070 -0.015
+++
More and more, students formally enrolled in the institution are given academic credits for completing coursework via MOOCs. As the use of MOOCs becomes more accepted, unions will negotiate language intended to protect members’ courseloads, teaching opportunities and jobs. This is a particularly sensitive issue at institutions with unionized adjunct professors.
MOOCs are an exciting development in higher education. The issues described above are not insurmountable at the bargaining table but should be anticipated and planned for by institutions in order to ensure a smoother transition into MOOC learning.
Nicholas Anastasopoulos is a partner in the Labor, Employment and Employee Benefits Group and Higher Education Group at the Massachusetts-based law firm of Mirick O’Connell.